Hi all! Huzzah, this is my first post as an official Risky! I am so happy to be here. 😀
The hero of my current WIP Listen to the Moon (readers of Sweet Disorder may remember him as Nick’s pun-hating valet Toogood) has recently taken a job as butler in a vicarage. Now, one of the tasks of a butler is to oversee the wine cellar. As The Complete Servant (published in 1825 by husband-and-wife butler/housekeeper duo Samuel and Sarah Adams) puts it:
The keys of the wine and ale cellars are specially kept by him, and the management of the wine, the keeping of the stock book, and also of ale in stock, or in brewing, are in his particular charge. This duty he generally performs in the morning before he is dressed to receive company, and he then brings out such wine as is wanted for the day’s use. It is his duty to fine* wine as it comes in the pipe**, and to superintend the bottling, sealing it himself, and disposing it in bins so as to know its age and character. While these duties and those of brewing are in hand, he leaves the parlour and waiting duties to the under butler and footman.
* Fining is the process of adding stuff to wine that attaches itself to unwanted particles in the wine; they can then be removed together or allowed to sink to the bottom of the keg or cask. It ensures your wine doesn’t look like this:
Photo Credit: Monica Yichoy via Wikimedia Commons.
** A pipe is a traditional English wine cask size, equal to about a hundred and twenty-five gallons, or half a tun.
I wanted to write a scene set in the wine cellar, but I know almost nothing about wine except that I like to drink it. So I checked out some of the helpful tips and recipes in The Complete Servant.
Unrelated to this page: materials data:
- - -
No. 1
A relaxed structure of La2CrBr. Source: Alexandria, functional PBE.

The structure in POSCAR format:
```
La2CrBr
1.0
-1.370 -7.620 -1.529
-1.890 -6.538 3.995
-1.104 7.630 -1.688
La Br Cr
2 1 1
direct
0.210 0.710 0.500
0.949 0.949 0.000
0.543 0.543 0.000
0.798 0.298 0.500
```

## Properties
- VASP energy: -5.49 eV per atom
- DOS(E_F): 0.785 states/eV/atom
- Formation energy from raw total energies: -200 meV/atom
- SG: Imm2 (44)



No. 2
A relaxed structure of SrSn2Pd2. Source: Alexandria, functional PBE.

The structure in POSCAR format:
```
SrSn2Pd2
1.0
8.166 0.000 0.000
0.000 8.166 0.000
0.000 0.000 3.372
Sn Pd Sr
4 4 2
direct
0.846 0.346 0.500
0.154 0.654 0.500
0.346 0.154 0.500
0.654 0.846 0.500
0.128 0.372 0.000
0.872 0.628 0.000
0.628 0.128 0.000
0.372 0.872 0.000
0.000 0.000 0.000
0.500 0.500 0.000
```

## Properties
- VASP energy: -4.51 eV per atom
- Calculated formation energy: -0.499 eV per atom
- DOS(E_F): 0.360 states/eV/atom
- SG: P4/mbm (127)



No. 3
A relaxed structure of PuUTc2. Source: Alexandria, functional PBE.

The structure in POSCAR format:
```
PuUTc2
1.0
4.561 0.015 -0.022
-0.026 5.361 -1.645
0.040 -2.593 6.491
Tc Pu U
4 2 2
direct
0.250 0.726 0.089
0.750 0.851 0.407
0.250 0.149 0.593
0.750 0.274 0.911
0.250 0.794 0.722
0.750 0.206 0.278
0.250 0.411 0.249
0.750 0.589 0.751
```

## Properties
- VASP energy: -11.54 eV per atom
- Calculated formation energy: 0.044 eV per atom
- DOS(E_F): 1.776 states/eV/atom
- SG: P2_1/m (11)



No. 4
A relaxed structure of BaC2O6. Source: Alexandria, functional PBE.

The structure in POSCAR format:
```
BaC2O6
1.0
4.156 5.903 0.253
-4.156 5.903 0.253
0.000 4.135 6.185
Ba C O
2 4 12
direct
0.191 0.809 0.750
0.809 0.191 0.250
0.788 0.668 0.360
0.212 0.332 0.640
0.668 0.788 0.860
0.332 0.212 0.140
0.749 0.618 0.984
0.467 0.822 0.911
0.925 0.788 0.190
0.533 0.178 0.089
0.788 0.925 0.690
0.618 0.749 0.484
0.822 0.467 0.411
0.251 0.382 0.016
0.178 0.533 0.589
0.212 0.075 0.310
0.075 0.212 0.810
0.382 0.251 0.516
```

## Properties
- VASP energy: -7.13 eV per atom
- Formation energy from raw total energies: -1561 meV/atom
- SG: C2/c (15)

=====

NaSnAuSe3 | PBE | relaxed

Properties
- distance to the lowest polymorph of the same formula (meV per atom) = 52

Cell: 16.9194 4.0394 9.1187 Å, 90.00 104.86 90.00°
Last column: nearest neighbours and their distance in Å.
Space group C2/m (No. 12)
One atom of each set of equivalent atoms:
Na1 0.1323 0.0000 0.0614 (multiplicity 4)  6 Se 2.96-3.27
Sn1 0.1744 0.0000 0.5872 (multiplicity 4)  6 Se 2.81-2.95
Au1 0.0069 0.5000 0.7160 (multiplicity 4)  5 Se 2.59-2.80
Se1 0.0000 0.0000 0.5000 (multiplicity 2)  4 Au 2.80, 2 Sn 2.85
Se2 0.0000 0.5000 0.0000 (multiplicity 2)  2 Au 2.62
Se3 0.1538 0.5000 0.3444 (multiplicity 4)  1 Au 2.63, 1 Sn 2.81
Se4 0.1654 0.5000 0.8015 (multiplicity 4)  1 Au 2.59, 2 Sn 2.84
- - -
I loved the long list of equipment “To Fit up a Cellar of Wines and Spirits.” Then I tried reading some methods of fining wine.
Take the whites and shells of eight fresh eggs, beat them in a wooden can or pail, with a whisk, till it becomes a thick froth; then add a little wine to it, and whisk it again[…]If the weather be warmish, add a pint of fresh-water sand to the finings. Stir it well about; after which put in the finings, stirring it for five minutes; put in the can of wine, leaving the bung out for a few hours, that the froth may fall: then bung it up, and in eight or ten days it will be fine and fit for bottling.
If the wine have an unpleasant taste, rack off one half; and to the remainder add a gallon of new milk, a handful of bay-salt, and as much rice; after which take a staff, beat them well together for half an hour, and fill up the cask, and when rolled well about, stillage it, and in a few days it will be much improved.
If the white wine is foul and has lost its colour, for a butt or pipe take a gallon of new milk, put it into the cask, and stir it well about with a staff; and when it has settled, put in three ounces of isinglass made into a jelly, with a quarter of a pound of loaf sugar scraped fine, and stir it well about. On the day following, bung it up, and in a few days it will be fine and have a good color.
Well. Now I was well and truly grossed out! Truly, the past is another country, I thought.
Shows what I know. While inorganic finings are also widely used these days, Wikipedia says: “The most common organic compounds used include egg whites, casein derived from milk, gelatin and isinglass obtained from the bladders of fish.”
Yes indeed. Even dried oxblood powder (a popular traditional fining for red wine) is not entirely a thing of the past. Yes, it had already mostly gone out of fashion when it was banned by the EEC in 1997 due to concerns about mad cow disease–but even after that some wineries were caught breaking the ban!
In theory, only trace amounts of finings remain in the final bottled wine. But although I could find no anecdotal evidence of folks allergic to milk having a reaction to drinking white wine, in 2007 the Scientific Panel on Dietetic Products, Nutrition and Allergies of the European Food Safety Agency published their finding “that milk and milk products used in winemaking may trigger allergic responses”! (A helpful blog post on the subject is here.)
I think the tip that horrified me the most, though, was this one:
Pour four ounces of turnesole rags* into an earthen vessel, and pour upon them a pint of boiling water; cover the vessel close, and leave it to cool; strain off the liquor, which will be of a fine deep red inclining to purple. A small portion of this colours a large quantity of wine. This tincture may either be made in brandy, or mixed with it, or else made into a syrup, with sugar, for keeping.
* “A violet-blue or purple colouring matter, obtained from the plant Crozophora tinctoria, formerly much used for colouring jellies, confectionery, wines, etc., and later as a pigment[…]Coarse linen rags are steeped in the juice, and then dried and exposed in vats over an ammoniacal mixture; hence the designation turnsole in rags.” –The Oxford English Dictionary
In those countries which do not produce the tingeing grape which affords a blood-red juice, wherewith the wines of France are often stained, in defect of this, the juice of elderberries is used, and sometimes log-wood is used at Oporto.
Now that’s just cheating.